[Material]
'''
The following is a GGA-PBE calculation of a geometry-optimized TaHg2Te structure, from the Alexandria database.

Structure (CIF):
```
data_TaHg2Te
_cell_length_a 7.0887
_cell_length_b 7.0887
_cell_length_c 7.0887
_cell_angle_alpha 90.00
_cell_angle_beta 90.00
_cell_angle_gamma 90.00
_symmetry_space_group_name_H-M 'F -4 3 m'
_symmetry_Int_Tables_number 216
_symmetry_space_group_name_Hall 'F -4 2 3'
loop_
_atom_site_label
_atom_site_fract_x
_atom_site_fract_y
_atom_site_fract_z
Ta1 0.0000 0.0000 0.0000
Hg1 0.0000 0.0000 0.5000
Hg2 0.2500 0.2500 0.7500
Te1 0.2500 0.2500 0.2500
```

Calculated values
Crystal system: cubic
Formation energy from raw total energies in eV/atom: 0.61

---

The following is a GGA-PBE calculation of a geometry-optimized Ti3SiSn structure, from the Alexandria database.

Structure (CIF):
```
data_Ti3SiSn
_cell_length_a 4.9835
_cell_length_b 4.9835
_cell_length_c 4.9835
_cell_angle_alpha 90.00
_cell_angle_beta 90.00
_cell_angle_gamma 90.00
_symmetry_space_group_name_H-M 'P m -3 m'
_symmetry_Int_Tables_number 221
_symmetry_space_group_name_Hall '-P 4 2 3'
loop_
_atom_site_label
_atom_site_fract_x
_atom_site_fract_y
_atom_site_fract_z
Ti1 0.0000 0.0000 0.5000
Si1 0.5000 0.5000 0.5000
Sn1 0.0000 0.0000 0.0000
```

Calculated values
Offset from the most stable computed form in eV/atom: 1.110
Crystal system: cubic
Formation energy from raw total energies in eV/atom: 1.10

---

The following is a GGA-PBE calculation of a geometry-optimized Ce8GeRu6 structure, from the Alexandria database.

Structure (CIF):
```
data_Ce8GeRu6
_cell_length_a 10.1940
_cell_length_b 10.1940
_cell_length_c 12.3298
_cell_angle_alpha 90.00
_cell_angle_beta 90.00
_cell_angle_gamma 120.00
_symmetry_space_group_name_H-M 'R -3'
_symmetry_Int_Tables_number 148
_symmetry_space_group_name_Hall '-R 3'
loop_
_atom_site_label
_atom_site_fract_x
_atom_site_fract_y
_atom_site_fract_z
Ce1 0.0000 0.0000 0.2304
Ce2 0.0044 0.6548 0.7193
Ge1 0.0000 0.0000 0.0000
Ru1 0.0107 0.8358 0.5925
```

Calculated values
Total DFT energy (no corrections) in eV per atom: -7.45
Crystal system: trigonal

---

The following is a GGA-PBE calculation of a geometry-optimized HgPt3 structure, from the Alexandria database.

Structure (CIF):
```
data_HgPt3
_cell_length_a 5.8636
_cell_length_b 8.0159
_cell_length_c 2.8568
_cell_angle_alpha 90.00
_cell_angle_beta 90.00
_cell_angle_gamma 90.00
_symmetry_space_group_name_H-M 'C m m m'
_symmetry_Int_Tables_number 65
_symmetry_space_group_name_Hall '-C 2 2'
loop_
_atom_site_label
_atom_site_fract_x
_atom_site_fract_y
_atom_site_fract_z
Hg1 0.0000 0.0000 0.0000
Pt1 0.0000 0.5000 0.0000
Pt2 0.2500 0.2500 0.5000
```

Calculated values
Total DFT energy (no corrections) in eV per atom: -4.58
Crystal system: orthorhombic

---

The following is a GGA-PBE calculation of a geometry-optimized Sc4CoPt structure, from the Alexandria database.

Structure (CIF):
```
data_Sc4CoPt
_cell_length_a 7.6873
_cell_length_b 7.6873
_cell_length_c 7.6873
_cell_angle_alpha 90.00
_cell_angle_beta 90.00
_cell_angle_gamma 90.00
_symmetry_space_group_name_H-M 'F -4 3 m'
_symmetry_Int_Tables_number 216
_symmetry_space_group_name_Hall 'F -4 2 3'
loop_
_atom_site_label
_atom_site_fract_x
_atom_site_fract_y
_atom_site_fract_z
Sc1 0.1245 0.1245 0.3755
Co1 0.0000 0.0000 0.0000
Pt1 0.2500 0.2500 0.7500
```

Calculated values
Offset from the most stable computed form in eV/atom: 0.917
Crystal system: cubic

---

The following is a GGA-PBE calculation of a geometry-optimized ScTl2Ru structure, from the Alexandria database.

Structure (CIF):
```
data_ScTl2Ru
_cell_length_a 6.8160
_cell_length_b 6.8160
_cell_length_c 6.8160
_cell_angle_alpha 90.00
_cell_angle_beta 90.00
_cell_angle_gamma 90.00
_symmetry_space_group_name_H-M 'F m -3 m'
_symmetry_Int_Tables_number 225
_symmetry_space_group_name_Hall '-F 4 2 3'
loop_
_atom_site_label
_atom_site_fract_x
_atom_site_fract_y
_atom_site_fract_z
Sc1 0.0000 0.0000 0.0000
Tl1 0.2500 0.2500 0.2500
Ru1 0.0000 0.0000 0.5000
```
'''

[What to do]
Now echo everything above exactly.

[Worked solution]
The following is a GGA-PBE calculation of a geometry-optimized TaHg2Te structure, from the Alexandria database.

Structure (CIF):
```
data_TaHg2Te
_cell_length_a 7.0887
_cell_length_b 7.0887
_cell_length_c 7.0887
_cell_angle_alpha 90.00
_cell_angle_beta 90.00
_cell_angle_gamma 90.00
_symmetry_space_group_name_H-M 'F -4 3 m'
_symmetry_Int_Tables_number 216
_symmetry_space_group_name_Hall 'F -4 2 3'
loop_
_atom_site_label
_atom_site_fract_x
_atom_site_fract_y
_atom_site_fract_z
Ta1 0.0000 0.0000 0.0000
Hg1 0.0000 0.0000 0.5000
Hg2 0.2500 0.2500 0.7500
Te1 0.2500 0.2500 0.2500
```

Calculated values
Crystal system: cubic
Formation energy from raw total energies in eV/atom: 0.61

---

The following is a GGA-PBE calculation of a geometry-optimized Ti3SiSn structure, from the Alexandria database.

Structure (CIF):
```
data_Ti3SiSn
_cell_length_a 4.9835
_cell_length_b 4.9835
_cell_length_c 4.9835
_cell_angle_alpha 90.00
_cell_angle_beta 90.00
_cell_angle_gamma 90.00
_symmetry_space_group_name_H-M 'P m -3 m'
_symmetry_Int_Tables_number 221
_symmetry_space_group_name_Hall '-P 4 2 3'
loop_
_atom_site_label
_atom_site_fract_x
_atom_site_fract_y
_atom_site_fract_z
Ti1 0.0000 0.0000 0.5000
Si1 0.5000 0.5000 0.5000
Sn1 0.0000 0.0000 0.0000
```

Calculated values
Offset from the most stable computed form in eV/atom: 1.110
Crystal system: cubic
Formation energy from raw total energies in eV/atom: 1.10

---

The following is a GGA-PBE calculation of a geometry-optimized Ce8GeRu6 structure, from the Alexandria database.

Structure (CIF):
```
data_Ce8GeRu6
_cell_length_a 10.1940
_cell_length_b 10.1940
_cell_length_c 12.3298
_cell_angle_alpha 90.00
_cell_angle_beta 90.00
_cell_angle_gamma 120.00
_symmetry_space_group_name_H-M 'R -3'
_symmetry_Int_Tables_number 148
_symmetry_space_group_name_Hall '-R 3'
loop_
_atom_site_label
_atom_site_fract_x
_atom_site_fract_y
_atom_site_fract_z
Ce1 0.0000 0.0000 0.2304
Ce2 0.0044 0.6548 0.7193
Ge1 0.0000 0.0000 0.0000
Ru1 0.0107 0.8358 0.5925
```

Calculated values
Total DFT energy (no corrections) in eV per atom: -7.45
Crystal system: trigonal

---

The following is a GGA-PBE calculation of a geometry-optimized HgPt3 structure, from the Alexandria database.

Structure (CIF):
```
data_HgPt3
_cell_length_a 5.8636
_cell_length_b 8.0159
_cell_length_c 2.8568
_cell_angle_alpha 90.00
_cell_angle_beta 90.00
_cell_angle_gamma 90.00
_symmetry_space_group_name_H-M 'C m m m'
_symmetry_Int_Tables_number 65
_symmetry_space_group_name_Hall '-C 2 2'
loop_
_atom_site_label
_atom_site_fract_x
_atom_site_fract_y
_atom_site_fract_z
Hg1 0.0000 0.0000 0.0000
Pt1 0.0000 0.5000 0.0000
Pt2 0.2500 0.2500 0.5000
```

Calculated values
Total DFT energy (no corrections) in eV per atom: -4.58
Crystal system: orthorhombic

---

The following is a GGA-PBE calculation of a geometry-optimized Sc4CoPt structure, from the Alexandria database.

Structure (CIF):
```
data_Sc4CoPt
_cell_length_a 7.6873
_cell_length_b 7.6873
_cell_length_c 7.6873
_cell_angle_alpha 90.00
_cell_angle_beta 90.00
_cell_angle_gamma 90.00
_symmetry_space_group_name_H-M 'F -4 3 m'
_symmetry_Int_Tables_number 216
_symmetry_space_group_name_Hall 'F -4 2 3'
loop_
_atom_site_label
_atom_site_fract_x
_atom_site_fract_y
_atom_site_fract_z
Sc1 0.1245 0.1245 0.3755
Co1 0.0000 0.0000 0.0000
Pt1 0.2500 0.2500 0.7500
```

Calculated values
Offset from the most stable computed form in eV/atom: 0.917
Crystal system: cubic

---

The following is a GGA-PBE calculation of a geometry-optimized ScTl2Ru structure, from the Alexandria database.

Structure (CIF):
```
data_ScTl2Ru
_cell_length_a 6.8160
_cell_length_b 6.8160
_cell_length_c 6.8160
_cell_angle_alpha 90.00
_cell_angle_beta 90.00
_cell_angle_gamma 90.00
_symmetry_space_group_name_H-M 'F m -3 m'
_symmetry_Int_Tables_number 225
_symmetry_space_group_name_Hall '-F 4 2 3'
loop_
_atom_site_label
_atom_site_fract_x
_atom_site_fract_y
_atom_site_fract_z
Sc1 0.0000 0.0000 0.0000
Tl1 0.2500 0.2500 0.2500
Ru1 0.0000 0.0000 0.5000
```